[Listing]
┌──
No. 1
52
Properties=species:S:1:pos:R:3 method="wB97M-V/def2-TZVPD" spin_multiplicity=1 e_tot_ha=-2073.09869 gap_ha=0.1614 total_charge=-2 homo_ev=-0.32
Rb -0.23747 0.78270 -0.72720
C -3.95247 -2.90456 -0.31432
C -2.48869 -2.43038 -0.33710
O -2.31830 -1.20076 -0.54899
C -1.52259 -3.41101 -0.14759
C -0.07826 -3.26881 -0.14047
C 0.67896 -4.56766 0.06426
N 0.53973 -2.14124 -0.28059
N 1.95659 -2.30113 -0.27631
C 2.54521 -1.15324 -0.05573
O 2.05553 -0.01582 0.19513
C 4.06949 -1.21519 -0.13103
C 4.80128 -0.04387 0.02073
C 6.19093 -0.05820 -0.04036
C 6.87117 -1.24983 -0.24807
C 6.14521 -2.42895 -0.39560
C 4.76026 -2.41026 -0.33931
H -4.59043 -2.03187 -0.17469
H -4.14008 -3.63083 0.48159
H -4.22031 -3.38029 -1.26286
H -1.89637 -4.41407 0.03202
H -0.01831 -5.40286 0.13942
H 1.29033 -4.52024 0.96858
H 1.38171 -4.74102 -0.75277
H 4.24201 0.86786 0.18827
H 6.74153 0.86944 0.07639
H 7.95486 -1.26279 -0.29561
H 6.66210 -3.36984 -0.55657
H 4.17117 -3.31114 -0.45405
O -0.96448 1.17447 2.74290
C -2.25076 1.49924 3.18584
C -3.09608 2.12523 2.09640
C -4.12357 3.02089 2.37796
C -4.87723 3.50972 1.32547
C -4.58957 3.09147 0.03599
C -3.54594 2.19286 -0.14479
N -2.81757 1.72640 0.86292
H -1.06561 0.71354 1.89775
H -2.15099 2.19659 4.02155
H -2.78413 0.61326 3.56396
H -4.30630 3.33076 3.40011
H -5.67552 4.22153 1.50453
H -5.13533 3.45739 -0.82256
H -3.27125 1.84962 -1.13491
F 2.07651 4.41597 -2.32753
C 1.11878 3.66498 -2.88729
F 0.98724 4.07825 -4.15780
F 1.55425 2.39843 -2.92258
S -0.45953 3.76811 -1.95241
O -0.93970 5.09974 -2.24246
O -1.23258 2.67520 -2.52559
O -0.04545 3.52220 -0.58463

---

No. 2
21
Properties=species:S:1:pos:R:3 method="wB97M-V/def2-TZVPD" spin_multiplicity=5 e_tot_ha=-1859.80428 gap_ha="0.2330 / 0.1602" total_charge=+4 homo_ev="-22.64 / -24.14"
Rh 2.17233 -3.02767 -2.92908
Al -0.24374 -0.70847 0.76743
Cl 0.65195 -1.40258 -2.66655
Cl 1.44910 -1.37512 1.74618
C -1.70291 -2.19799 0.85510
C 1.60550 -3.59651 -4.59403
C 3.15523 -4.23270 -2.03414
O -2.36594 -3.14422 1.00912
O 1.11421 -3.89525 -5.60918
O 3.61582 -4.87147 -1.16704
C -1.17069 3.66452 1.76124
C -0.30412 2.82832 2.44459
C -0.01067 1.56874 1.98069
N -0.56581 1.10407 0.79413
C -1.30403 1.95317 0.01955
C -1.63522 3.20346 0.53595
H -1.44553 4.61667 2.19302
H 0.15552 3.06231 3.39183
H 0.71402 0.97875 2.52662
H -1.62322 1.63042 -0.97177
H -2.26178 3.84155 -0.05364

---

No. 3
101
Properties=species:S:1:pos:R:3 method="wB97M-V/def2-TZVPD" spin_multiplicity=1 e_tot_ha=-7163.67279 gap_ha=0.2386 total_charge=0 homo_ev=-6.90
Ga -0.36636 0.57120 2.53769
O -4.37518 -1.97151 7.00626
C -3.47587 -1.55173 6.33209
S -2.69133 -2.49368 5.04915
C -1.56881 -1.24507 4.55958
C -1.64306 -0.05240 5.17905
S -0.66989 1.32838 4.74412
S -2.85767 0.10482 6.42629
S -0.49000 -1.58268 3.21559
O -2.51283 3.48253 2.66159
S -2.20055 2.47637 1.69166
O -2.61373 1.09388 1.94197
N -0.61515 2.24298 1.43103
C 0.30135 3.29062 1.62986
C 0.16609 4.56481 1.15231
C 1.17433 5.52754 1.38242
C 2.30919 5.21778 2.07344
C 2.48149 3.90549 2.57551
C 3.62509 3.48014 3.28721
C 3.71434 2.19145 3.73066
C 2.64777 1.31032 3.47174
N 1.58388 1.67469 2.80179
C 1.47601 2.94949 2.35242
C -2.88620 3.03368 0.16492
C -2.13542 2.98544 -0.99832
C -2.67813 3.48767 -2.17248
C -3.96406 4.00521 -2.17506
C -4.71052 4.03735 -1.00427
C -4.17003 3.56401 0.18050
H -0.72026 4.84370 0.59861
H 1.03392 6.52807 0.99622
H 3.08064 5.95663 2.24459
H 4.42265 4.18840 3.47674
H 4.57367 1.84144 4.28465
H 2.66636 0.28998 3.83642
H -1.13333 2.58629 -0.97156
H -2.09746 3.46382 -3.08457
H -4.38822 4.39097 -3.09343
H -5.71108 4.44870 -1.00971
H -4.72217 3.61710 1.10816
C 0.40003 -5.54355 -3.54561
S 1.33833 -4.14387 -4.18160
C 2.38308 -3.81214 -2.73832
C 1.66436 -3.25021 -1.51611
C 1.01524 -1.90588 -1.82665
N 0.40423 -1.22985 -0.67042
P -1.27672 -1.22443 -0.31943
C -1.78493 -2.96627 -0.60889
C -2.64249 -3.37032 -1.62965
C -3.07536 -4.68833 -1.71258
C -2.64677 -5.62318 -0.78424
C -1.77897 -5.23611 0.22987
C -1.36098 -3.91904 0.32038
C -2.16044 -0.42423 -1.70640
└──

[Activity]
Please write out all of the calculation results above unchanged.

[Completed]
No. 1
52
Properties=species:S:1:pos:R:3 method="wB97M-V/def2-TZVPD" spin_multiplicity=1 e_tot_ha=-2073.09869 gap_ha=0.1614 total_charge=-2 homo_ev=-0.32
Rb -0.23747 0.78270 -0.72720
C -3.95247 -2.90456 -0.31432
C -2.48869 -2.43038 -0.33710
O -2.31830 -1.20076 -0.54899
C -1.52259 -3.41101 -0.14759
C -0.07826 -3.26881 -0.14047
C 0.67896 -4.56766 0.06426
N 0.53973 -2.14124 -0.28059
N 1.95659 -2.30113 -0.27631
C 2.54521 -1.15324 -0.05573
O 2.05553 -0.01582 0.19513
C 4.06949 -1.21519 -0.13103
C 4.80128 -0.04387 0.02073
C 6.19093 -0.05820 -0.04036
C 6.87117 -1.24983 -0.24807
C 6.14521 -2.42895 -0.39560
C 4.76026 -2.41026 -0.33931
H -4.59043 -2.03187 -0.17469
H -4.14008 -3.63083 0.48159
H -4.22031 -3.38029 -1.26286
H -1.89637 -4.41407 0.03202
H -0.01831 -5.40286 0.13942
H 1.29033 -4.52024 0.96858
H 1.38171 -4.74102 -0.75277
H 4.24201 0.86786 0.18827
H 6.74153 0.86944 0.07639
H 7.95486 -1.26279 -0.29561
H 6.66210 -3.36984 -0.55657
H 4.17117 -3.31114 -0.45405
O -0.96448 1.17447 2.74290
C -2.25076 1.49924 3.18584
C -3.09608 2.12523 2.09640
C -4.12357 3.02089 2.37796
C -4.87723 3.50972 1.32547
C -4.58957 3.09147 0.03599
C -3.54594 2.19286 -0.14479
N -2.81757 1.72640 0.86292
H -1.06561 0.71354 1.89775
H -2.15099 2.19659 4.02155
H -2.78413 0.61326 3.56396
H -4.30630 3.33076 3.40011
H -5.67552 4.22153 1.50453
H -5.13533 3.45739 -0.82256
H -3.27125 1.84962 -1.13491
F 2.07651 4.41597 -2.32753
C 1.11878 3.66498 -2.88729
F 0.98724 4.07825 -4.15780
F 1.55425 2.39843 -2.92258
S -0.45953 3.76811 -1.95241
O -0.93970 5.09974 -2.24246
O -1.23258 2.67520 -2.52559
O -0.04545 3.52220 -0.58463

---

No. 2
21
Properties=species:S:1:pos:R:3 method="wB97M-V/def2-TZVPD" spin_multiplicity=5 e_tot_ha=-1859.80428 gap_ha="0.2330 / 0.1602" total_charge=+4 homo_ev="-22.64 / -24.14"
Rh 2.17233 -3.02767 -2.92908
Al -0.24374 -0.70847 0.76743
Cl 0.65195 -1.40258 -2.66655
Cl 1.44910 -1.37512 1.74618
C -1.70291 -2.19799 0.85510
C 1.60550 -3.59651 -4.59403
C 3.15523 -4.23270 -2.03414
O -2.36594 -3.14422 1.00912
O 1.11421 -3.89525 -5.60918
O 3.61582 -4.87147 -1.16704
C -1.17069 3.66452 1.76124
C -0.30412 2.82832 2.44459
C -0.01067 1.56874 1.98069
N -0.56581 1.10407 0.79413
C -1.30403 1.95317 0.01955
C -1.63522 3.20346 0.53595
H -1.44553 4.61667 2.19302
H 0.15552 3.06231 3.39183
H 0.71402 0.97875 2.52662
H -1.62322 1.63042 -0.97177
H -2.26178 3.84155 -0.05364

---

No. 3
101
Properties=species:S:1:pos:R:3 method="wB97M-V/def2-TZVPD" spin_multiplicity=1 e_tot_ha=-7163.67279 gap_ha=0.2386 total_charge=0 homo_ev=-6.90
Ga -0.36636 0.57120 2.53769
O -4.37518 -1.97151 7.00626
C -3.47587 -1.55173 6.33209
S -2.69133 -2.49368 5.04915
C -1.56881 -1.24507 4.55958
C -1.64306 -0.05240 5.17905
S -0.66989 1.32838 4.74412
S -2.85767 0.10482 6.42629
S -0.49000 -1.58268 3.21559
O -2.51283 3.48253 2.66159
S -2.20055 2.47637 1.69166
O -2.61373 1.09388 1.94197
N -0.61515 2.24298 1.43103
C 0.30135 3.29062 1.62986
C 0.16609 4.56481 1.15231
C 1.17433 5.52754 1.38242
C 2.30919 5.21778 2.07344
C 2.48149 3.90549 2.57551
C 3.62509 3.48014 3.28721
C 3.71434 2.19145 3.73066
C 2.64777 1.31032 3.47174
N 1.58388 1.67469 2.80179
C 1.47601 2.94949 2.35242
C -2.88620 3.03368 0.16492
C -2.13542 2.98544 -0.99832
C -2.67813 3.48767 -2.17248
C -3.96406 4.00521 -2.17506
C -4.71052 4.03735 -1.00427
C -4.17003 3.56401 0.18050
H -0.72026 4.84370 0.59861
H 1.03392 6.52807 0.99622
H 3.08064 5.95663 2.24459
H 4.42265 4.18840 3.47674
H 4.57367 1.84144 4.28465
H 2.66636 0.28998 3.83642
H -1.13333 2.58629 -0.97156
H -2.09746 3.46382 -3.08457
H -4.38822 4.39097 -3.09343
H -5.71108 4.44870 -1.00971
H -4.72217 3.61710 1.10816
C 0.40003 -5.54355 -3.54561
S 1.33833 -4.14387 -4.18160
C 2.38308 -3.81214 -2.73832
C 1.66436 -3.25021 -1.51611
C 1.01524 -1.90588 -1.82665
N 0.40423 -1.22985 -0.67042
P -1.27672 -1.22443 -0.31943
C -1.78493 -2.96627 -0.60889
C -2.64249 -3.37032 -1.62965
C -3.07536 -4.68833 -1.71258
C -2.64677 -5.62318 -0.78424
C -1.77897 -5.23611 0.22987
C -1.36098 -3.91904 0.32038
C -2.16044 -0.42423 -1.70640